Friday, April 20, 2007

_The text is interrupted by calculated molecules_
1.
{
  "formula": "C23H29NO",
  "method": "ωB97M-V/def2-TZVPD",
  "species": ["O", "C", "C", "C", "C", "C", "C", "C", "C", "C", "C", "C", "C", "N", "C", "C", "C", "C", "C", "C", "C", "C", "C", "C", "C", "H", "H", "H", "H", "H", "H", "H", "H", "H", "H", "H", "H", "H", "H", "H", "H", "H", "H", "H", "H", "H", "H", "H", "H", "H", "H", "H", "H", "H"],
  "positions_angstrom": [[-2.654, -3.290, 1.129], [-3.403, -2.546, 0.211], [-2.793, -1.180, -0.211], [-3.989, -0.279, -0.585], [-3.707, 1.013, -1.371], [-2.903, 2.038, -0.623], [-3.452, 2.689, 0.478], [-2.720, 3.622, 1.188], [-1.424, 3.927, 0.805], [-0.874, 3.303, -0.301], [-1.611, 2.371, -1.011], [-1.982, -0.591, 0.962], [-0.479, -0.848, 0.804], [-0.272, -2.188, 0.281], [1.046, -2.746, 0.558], [2.189, -1.940, 0.011], [2.950, -1.145, 0.758], [4.036, -0.293, 0.290], [4.637, -0.452, -0.959], [5.660, 0.385, -1.361], [6.104, 1.399, -0.528], [5.521, 1.566, 0.717], [4.502, 0.725, 1.123], [-0.681, -2.297, -1.114], [-1.859, -1.365, -1.414], [-1.709, -3.135, 0.937], [-4.371, -2.374, 0.695], [-3.590, -3.142, -0.698], [-4.674, -0.876, -1.193], [-4.511, -0.020, 0.338], [-3.219, 0.776, -2.317], [-4.681, 1.452, -1.610], [-4.463, 2.456, 0.781], [-3.161, 4.115, 2.042], [-0.850, 4.653, 1.360], [0.132, 3.544, -0.614], [-1.174, 1.902, -1.882], [-2.144, 0.481, 1.041], [-2.328, -1.053, 1.888], [-0.022, -0.079, 0.160], [0.005, -0.782, 1.781], [1.065, -3.755, 0.134], [1.138, -2.827, 1.646], [2.337, -1.995, -1.059], [2.756, -1.091, 1.824], [4.315, -1.247, -1.613], [6.118, 0.245, -2.329], [6.904, 2.052, -0.845], [5.864, 2.351, 1.375], [4.051, 0.860, 2.096], [0.139, -2.048, -1.806], [-0.958, -3.342, -1.296], [-1.463, -0.389, -1.691], [-2.419, -1.756, -2.266]],

Types of trees

 The form of leaves, trees, divided into peristolistnye that are similar in form to feather birds, and veerolistnye resembling video fan. For room culture fit following.



vashingtoniya nitenosnaya, trahikarpus high

  Vashingtoniya nitenosnaya.Veernaya palm of up to 2,5 m, the leaves are on the long, thick, shipovatyh avium. The bar sheet is composed of many segments of up to 45 cm in length, the province which split the long belovatye thread. Requires regular but moderate watering. Sustained every 2 to 4 weeks in the spring and summer. Prefers substrate of foliar land bees land, peat and sand (1:3:1:0,5). In many regions during the second half of spring.

Trahikarpus high or Japanese veernaya palm-palm with a direct beam of up to 2 m, which is densely covered with the remnants of otmershih leaf-chereshkami or fibers. Leaves hub, dark green, deeply rassechennye multiple segments. The herb is a nice yellow color. Sustained every 2 weeks in the summer during the growth period. Prefers reluctance bright room Irrigation regular, moderate winter. Prefers substrate of foliar land bees land, peat and sand (1:3:1:0,5). In many regions at 24oS early spring.


date palm, hoveya Forster

Palm trees, or the phoenix kanarsky-palm with direct beam up to 3 meters high, wood residues cause leaf, and having kolonnoobraznuyu form. The leaves are large, zelenovato-serye, cirrus, a length of 30-100 cm, slightly otognutye outwards. When the light leaves much pulled out and obvisayut. In a room date palm grows rather slowly. To evenly education leaf plum rotate so that the top young leaf was inside the room. In the summer moving to the balcony. Young plants transplant every year, the plant over five years as necessary. In between overs replace the crust of the Earth. Require adequate lighting and regular irrigation, podkormku spend every 2 to 4 weeks in the spring and summer. Предпочитает субстрат из лиственной земли, дерновой земли, перегноя, торфа и песка (1:1:1:1:1). In many regions (pits) at 25-30oS.

 Rafis lentovidny - kustistoe low plant height up to 1.5 m in diameter veernymi svetlo-zelenymi leaves 25 cm Not picky about coverage, teplolyubiv not carry heavy irrigation. Prefers nourishing soil of bees land Perennial and sand (1:1:0,5). In the summer they need nutrition organic fertilizers. In many regions. Hoveya Forster-pervasive culture of palm room in the 1 - 2,5 m. This prize palm with a barrel shrouded trees scars in the form of rings. Leaves cirrus length 30-60 cm, dark green, the bottom covered with small dots. Stem at the base expanded. Good moves dryness air. With heed blooms, rich. The moderate coverage and high humidity, avoid pereuvlazhneniya or drying up. Sustained every 2 to 4 weeks. In many regions at a temperature of 27 oS spring. Substrate made of equal parts foliar land bees land Perennial, peat and sand. Hoveya used for landscaping dining rooms, halls, office space.